Chapter 93: V.1-C.93│Welcome to Hell III│
Back within Hell.
A ripple was seen as a figure was fighting through a horde of monsters rushing at the person, there was no one else around and the figure was all alone.
'How nice of her to leave me.' Anakin thought to himself as he was the one currently punching his way through a horde of rather vicious abyssal creatures.
He had been left alone all my himself not because Zannah didn't want to stay but because she was still influenced mentally by her own choices, the Force and the dark side. Meaning, when she had the opportunity she ditched him because she had gotten what she wanted.
But that doesn't mean she didn't give him everything he needed, in fact she had provided in full according to their deal, knowing how manipulative she was Anakin was surprised.
'I guess I shouldn't be however...' Thinking to himself about how Dyad's usually influencing the person your connected to and yourself to start feeling things about each other in a different way.
From what he knows there are two types of Dyad's so far, one between a master and their student which was mean for the Sith to empower the other when they died, then the other was the one he has.
Currently connected to Aayla, Shaak, Barriss and now Zannah. It would influence the participants emotions somewhat to induce emotions like love, the romantic kind.
It wasn't exactly a negative thing and Anakin didn't mind the Force playing matchmaker because there is a basis behind how a Dyad works, as if there was no connection, no compatibility and certain requirements weren't met it would not happen.
A reason why he believed he could have so many was because of the Force and him being the 'Chosen One.'
'Maybe mother Force just likes spoiling me.' Anakin thought to himself knowing the Force probably knew what he was like and knew what he desired, it was like it was arranging multiple brides for him.
Not that he minded all too much, but it certainly wasn't exactly under his own terms.
"And another bites the dust." He said as he had for the thousandth time put down another one of these creatures, it would seem his current test was of his mental endurance.
After what seemed like a few minutes passed he had finally put an end to the last of his obstacles from his goal.
Anakin continued his way down to the next level, he had meet a few other Sith and Dark Jedi along his way through but never got to interact with any of them because Zannah scared everyone off. While she may not be the biggest fish in the pond she was definitely big enough to scare away everyone else.
Seeing the entrance to another level he delved in.
The next level was actually a simulation, it purposely put someone within their own personally crafted Hell where they had to live through what they had done in life.
Some actually enjoyed whatever sick things they had done, but that doesn't mean everything was good for them. There was certainly ways to get around this level and how to beat it.
Anakin was facing it as well, but because he is a glitch within the system, it gave him the life of another Anakin, another Vader whom he was most familiar with.
He had to live through the tragedy of Vader, his rise and fall. His slavery on Tatooine, to his slavery to the Jedi then through his slavery to the Sith Lord Palpatine. This further increased his resolve to make sure that Palpatine is put to an end as fast as he could.
'Ok, maybe the original wasn't enslaved to the Jedi but there are instances with which the Jedi Order could have done better.' Anakin thought to himself.
He felt the pain, the physical and emotional to such a deep level but his will held out long enough for him to reassert that he is different, because he is.
The loss of Padme, the supposed loss of his children, the loss of his mother, the suffering and loss of his hand, to the loss of his padawan Ahsoka. The original Anakin definitely didn't have the best life, and his punishment for the horrible actions he took was definitely not pleasant either.
It may have been well deserved but that doesn't mean his story was any less tragic. In the end, practically everyone had failed him.
This story was irrelevant the him though because he was not that Anakin, he was not the monster he had become and in fact he may become something more.
He had already been alluded to the fact of divinity by the Force itself and it would seem there are some beings trapped within the Force's Chaos that could have a clue to this allusion. Or maybe not, no one will know and he most certainly will not until he goes deeper.
'What is with this place?' Anakin was still being barraged with another Anakin's life before he started to notice that no matter he did, nothing changed.
Everything he tried to change just went the way it originally did no matter what he did, and it was not like this didn't happen somewhere else. Or within another universe or timeline.
Here though he was different and he had the sneaking suspicion this was done on purpose to try and again whittle down his mental fortitude. So he instead went with the flow which is completely against the way the Sith do things.
They most certainly dont try to side with order but would try and create chaos because it was within their nature to do things according to their emotions. The only way he could combat his situation was to allow the fate of the original to happen.
And just like that, everything came to an end. 'Who would have thought that the way to end your misery is to accept it?'
Obviously thats probably not the best way to overcome this test but it was the only way as the Sith were unable to change the past, just as Anakin couldn't change the fate of the original. Everything matters in the moment, reminiscing the past too much is bad, thinking of the future too much is also bad.
Living in the moment is the best option.
After escaping the second level, Anakin was promoted to the third. The first level seemed to be some type of gathering grounds for the evil, while the second level was a test or torture, choose your pick.
He doesn't know what will come next but he hopes its something that can be done quickly.
"Who are you to disturb my slumber?" A voice spoke out and a rumble was felt through the Force.
Anakin was able to tell that this may take some time. In the back of his mind Anakin could feel that the figure before him was more than what it seemed and strangely within the Force it felt strange.
"Answer me!" The cloaked figure demanded.
Another voice was heard but this time it was only directed at Anakin and all he heard was, 'He is a wound in the Force, more presence than flesh, and in his wake life dies… sacrificing itself to his hunger.'
'That's not ominous at all...' He thought to himself after being told that.
"Identify yourself at once!" Anakin now felt the presence of this person within the Force grew and tried to put pressure on him.
Anakin pushed back just enough to make sure this presence doesn't outright destroy his corporeal form. "My name is Anakin Skywalker."
"That is not a name I know of." The figure spoke again but Anakin was unable to determine any of its features. "You must be new, and foolish as well to trespass here."
"I do not want any trouble, I only wish to proceed." Anakin stated.
"You wish, do you?" The figure spoke. "You shall not pass!"
'Who are you, Gandalf?' Anakin thought within himself before saying. "I think I will be passing, thank you."
No other words were exchanged as both of them started to draw on their power within the Force and both were surprised to discover the strength with which each other had.
Anakin, knowing better than to try and get physical because in this dimension all that mattered was the Force and nothing else, he kept his distance.
"You have no idea who you are messing with." The figure spoke.
"I do not, so why not entertain me?" Anakin asked while being snarky but this isn't able to provoke a reaction from the figure.
"Since I feel your strength, I know that this will be a good fight. You should know the name of your killer after all." The figure than started to unravel before him and Anakin was surprised because he knew who this person was.
"My identity is-" He was cut off by Anakin.
"Darth Nihilus." Anakin said which surprised the person now identified as Darth Nihilus.
Darth Nihilus was a man who always craved greater power. However, unlike most Sith Lords, he cared very little for the Sith as an organization. Nihilus saw death as the sole purpose of life, and power as the means to achieve it.
He was cautious, as his actions during the campaign against the Jedi showed, and was known as an aggressive, dominant figure who would not abide a threat to his power.
Nihilus was once a Human male with black hair coiled finely into strips that he tied together behind his head. After he indulged his hunger for the dark side he lost his corporeal form, preserving his existence only by having his spirit linger within his mask and armor.
The Dark Lord fully embraced his condition, as the mysterious and monstrous facets of it instilled in people who met him a deep-rooted fear upon which he could prey. Ceasing to feel fear and other emotions, he became an entity of pure intent.
Nonetheless, Nihilus was still Human enough to have some feelings, as his bond with Marr persisted until their confrontation on the Ravager. She was his only apprentice, and her betrayal was met with much anger.
"It would seem you know of me, then that must mean you recognize that this will be your end." Nihilus said. "Death comes to all."
During combat, Darth Nihilus fought in an aggressive, one-handed style. He had learned some of the greatest of the Sith teachings, but such practices took the form of dependence. They would make him stronger, but only for a time, and he would have to feed upon Force energy to replenish his strength.
Anakin could draw upon Nihilus fighting style but because this was mostly long distance he would rely on the Force to help him here.
Nihilus wouldn't really allow a physical confrontation anyway, or would he because he had just summoned a lightsaber from out of nowhere.
"Oh? It would seem that you are new here, foolish of you to assume that I would face you with no form of armament." Nihilus taunted trying to see the mental limits of Anakin's psyche but he was just as unperturbed by the childish insults that was once thrown at him.
Anakin deciding to see if he could do something similar was not surprised to find he could and now he held his dual-bladed lightsaber within his corporeal hand.
Knowing of Nihilus' capabilities Anakin knows he may be in a heap of trouble because he was only learning how to drain the Force and Life energies from people while Nihilus had basically perfected his.
The longer the fight went on the more Anakin would feel drained.
"I guess we should get started then." Anakin said as he decided to engage in a lightsaber duel because that would probably be his only way to get to him.
"Yes, come to me. I like the smell of you." Nihilus was infamous for his ability to sever the Force and create wounds whenever he could and his insatiable desire for those strong in the Force to feed upon.
"Jabitha can you tell us where Anakin is?" Aayla had asked the living ship as they had come to and arrived on Tatooine along with Shaak and Barriss.
'I dont know where Papa is.' Jabitha telepathically replied.
Jabitha had grown in her Force based abilities because Anakin had been trying to get her to open up more to the uses of the Force. It certainly helped to increase the speed she went at when travelling.
"Are you sure?" Barriss asked because if even Jabitha who probably has the strongest telepathic link to Anakin couldn't find him, it meant something was wrong.
They knew for sure he wasn't dead otherwise they would have felt it, they would have known it, so atleast he is alive. That should be enough for the girls for now, atleast that was until they found him again or he mysteriously just pops up.
Charting a trip to Tatooine without anyone else knowing would certainly raise some questions, well it probably wouldn't because the original Anakin was able to fly off to Anakin to see his mother, dying. But that is besides the point, they should have as much time as they would need.
"Maybe we could try and pull on the connection, all of us. Together." Shaak suggested.
"That could work, we would have to connect to each other to amplify the connection to break through whatever is blocking us." Aayla agreed with Shaak.
"Ok, lets do it. May we come inside Jabitha?" Shaak asked Jabitha because it would be even better to link up with Jabitha as well.
'Yes, lets find Papa.' Jabitha responded.
Everyone boarded the living ship and were surprised about the inside because all three had come to know about the living ship it didn't they had ever been on her.
Quickly getting over their surprise and getting to where the best spot was they started along with Jabitha connecting to them as well as while she didn't have the same connection, it was her psychic abilities outside of the Force that enabled another method to get to Anakin.
Misplaced calculated crystals:
********
1.
{
  "formula": "Pu6BiAu5",
  "functional": "GGA-PBE",
  "state": "optimized geometry",
  "magmom_total_mub_per_atom": 1.930,
  "total_energy_ev_per_cell": -110.66,
  "sg": "Cm, No. 8",
  "lattice": [[8.535, -2.555, 0.000], [8.535, 2.555, 0.000], [-3.413, 0.000, 6.853]],
  "species": ["Pu", "Pu", "Pu", "Pu", "Pu", "Pu", "Bi", "Au", "Au", "Au", "Au", "Au"],
  "fractional_positions": [[0.000, 0.000, 0.000], [0.004, 0.004, 0.489], [0.339, 0.339, 0.345], [0.353, 0.353, 0.839], [0.665, 0.665, 0.175], [0.686, 0.686, 0.656], [0.175, 0.175, 0.915], [0.171, 0.171, 0.419], [0.505, 0.505, 0.267], [0.515, 0.515, 0.738], [0.836, 0.836, 0.089], [0.846, 0.846, 0.578]]
}

2.
{
  "formula": "PuBiAu",
  "functional": "GGA-PBE",
  "state": "optimized geometry",
  "magmom_total_mub_per_atom": 2.047,
  "total_energy_ev_per_cell": -22.35,
  "sg": "P-6m2, No. 187",
  "lattice": [[5.113, 0.000, 0.000], [-2.556, 4.428, 0.000], [0.000, 0.000, 3.370]],
  "species": ["Pu", "Bi", "Au"],
  "fractional_positions": [[0.000, 0.000, 0.000], [0.667, 0.333, 0.500], [0.333, 0.667, 0.500]]
}

3.
{
  "formula": "PuBiAu3",
  "functional": "GGA-PBE",
  "state": "optimized geometry",
  "magmom_total_mub_per_atom": 1.100,
  "total_energy_ev_per_cell": -58.82,
  "sg": "Cmcm, No. 63",
  "lattice": [[1.685, -14.284, 0.000], [1.685, 14.284, 0.000], [0.000, 0.000, 4.811]],
  "species": ["Pu", "Pu", "Bi", "Bi", "Au", "Au", "Au", "Au", "Au", "Au"],
  "fractional_positions": [[0.073, 0.927, 0.750], [0.927, 0.073, 0.250], [0.212, 0.788, 0.250], [0.788, 0.212, 0.750], [0.327, 0.673, 0.250], [0.380, 0.620, 0.750], [0.476, 0.524, 0.750], [0.524, 0.476, 0.250], [0.620, 0.380, 0.250], [0.673, 0.327, 0.750]]
}

4.
{
  "formula": "Pu2BiAu",
  "functional": "GGA-PBE",
  "state": "optimized geometry",
  "magmom_total_mub_per_atom": 2.919,
  "sg": "P4/mmm, No. 123",
  "relative_energy_ev_per_atom": 0.029,
  "lattice": [[4.067, 0.000, 0.000], [0.000, 4.067, 0.000], [0.000, 0.000, 6.291]],
  "species": ["Pu", "Pu", "Bi", "Au"],
  "fractional_positions": [[0.000, 0.000, 0.243], [0.000, 0.000, 0.757], [0.500, 0.500, 0.500], [0.500, 0.500, 0.000]]
}

5.
{
  "formula": "Pu2BiAu",
  "functional": "GGA-PBE",
  "state": "optimized geometry",
  "magmom_total_mub_per_atom": 3.000,
  "sg": "Fm-3m, No. 225",
  "relative_energy_ev_per_atom": 0.000,
  "lattice": [[0.000, 3.768, 3.768], [3.768, 0.000, 3.768], [3.768, 3.768, 0.000]],
  "species": ["Pu", "Pu", "Bi", "Au"],
  "fractional_positions": [[0.250, 0.250, 0.250], [0.750, 0.750, 0.750], [0.000, 0.000, 0.000], [0.500, 0.500, 0.500]]
}

6.
{
  "formula": "Pu2BiAu",
  "functional": "GGA-PBE",
  "state": "optimized geometry",
  "magmom_total_mub_per_atom": 0.020,
  "sg": "R3m, No. 160",
  "relative_energy_ev_per_atom": 0.537,
  "lattice": [[1.765, 1.019, 9.117], [-1.765, 1.019, 9.117], [0.000, -2.038, 9.117]],
  "species": ["Pu", "Pu", "Bi", "Au"],
  "fractional_positions": [[0.000, 0.000, 0.000], [0.284, 0.284, 0.284], [0.762, 0.762, 0.762], [0.181, 0.181, 0.181]]
}
********
End of the calculated crystals:
They built themselves up within the Force and tried to trace where Anakin could be and they had little success only being able to pinpoint that it was within the Outer Rims. Somewhere around the systems they were surrounded by.
Not very useful but it did at least cut down the amount of area they would have to cover, not that it would be too much of a problem with Jabitha's insane speed.
"Damnit!" Aayla yelled in frustration as her emotions started to bubble to the surface of the calm facade she had put on.
"Calm down, atleast this is better than nothing." Shaak tried to calm her down as getting angry now doesn't really help them.
"Sorry, you are right."
"It's alright, we are all worried. That idiot just had to go on an adventure and not tell us anything about what he was doing." Barriss tried to encourage Aayla.
"Thank you, but I think we should start our search again." Aayla said before commanding Jabitha. "Jabitha, can you help us out?"
'Of course, anything for Papa and his mates.' Jabitha mentally said to them all which got a strange reaction from all of them, Aayla blushed, Barriss blushed as well but had more embarrassment while Shaak was the lest worried about what was said.
Shaak still sported a blush of her own where her lekku darkened.
'Did I say something wrong?' Jabitha questioned.
"No Jabitha, what you said is not wrong..." Shaak was the fastest to recover.